I Hate Myself (new painting and music release announcement!)
Nov 13, 2020 18:45 · 1747 words · 9 minute read
hey i’m nathan and i hate myself that look on your face! like…ugh it’s a weird thing to say and admit because i don’t really feel depressed i’m a pretty like happy guy and in fact probably for my whole life i’ve just felt like maybe i’m a little too happy i mean don’t get me wrong i get depressed and like brian wilson “sometimes i feel very sad” just like all of us it’s not all like bright and sunny but because i’m mostly happy i’ve never really considered the idea that i might not have the most positive self-image but one thing i’ve definitely always been is creative and for some reason i felt like because i have to be up here on the stage that that might show that i’m selfish that some part of me says oh i have to be in front of people that makes me bad and evil that idea that i’m bad and evil just reduces into a basic distrust of everything that might come naturally to me and because i suspected that i might be evil and manipulative and controlling and only have my own self-interest at heart it made me pass through the world never wanting to express myself always feeling guilty about expressing myself in my relationships i would always try to put them first which is good it’s important to put people before yourself but if you do it like i was doing where i just bury who i am bury my identity bury my thoughts and feelings it just becomes my own personal way of conforming it makes me doubt who i am and who God made me to be but because i truly believed that deep down inside i was this selfish person, what other choice would i have? and so as i found myself burying every part of me i would refuse to say how i felt about things and i would just put on this smiling face and become fake and become something that i’m not which just created a lot of… [creepy sounds] deep within me that i couldn’t really find a way out of i truly feel like any time i express my needs what i’m doing is putting myself in front of other people and that makes me believe that i’m an evil narcissist but i learned that a narcissist doesn’t actually think about other people like a true, clinical narcissist is only able to think about themselves and so the very fact that i’m like considering the needs of others and trying to figure out what i can do to help them that shows that i’m not actually a narcissist so if i distrust myself so much that i think that my needs aren’t worth expressing then these things that i thought were selfish are actually self-worth and these things that i thought were humility were actually self- hatred fundamentally i was building up a case against myself trying to prove to everyone around me what i knew about myself deep inside which is that i’m terrible but i’m not terrible i’m not terrible. i’m not terrible i have to believe that because if somebody came to me and said “i’m selfish and evil and everything i do is for my own self- interest” and then i looked at their life and i saw them desperately trying to put everyone first in everything they did i would tell them you’re not terrible that means i have to tell myself that i’m not terrible but like i said i’m an artist and so i started writing songs that just explored this idea of self-loathing and just expressed it from as many angles as possible the goal being that i can put it out there and say this is my work, this is me at my most self-loathing and now i can move past it and so i wrote and recorded an e.p. of five songs and the e.p. is called “i hate nathan stryker” and it’s gonna come out on black friday…
## What comes next are quantum chemistry results, not part of the text
[1]
ORCA calculation (ωB97M-V/def2-TZVPD) on C4H4O in the gas phase in a non-equilibrium geometry.

Molar mass ... 68.1 g/mol
LUMO level ... 0.0396 Ha
SMILES ... C#C[C@H]1CO1
Orbital gap ... 11.195 eV
HOMO level ... -10.1 eV
Strongest force on any atom ... 1.21 eV/Å

Element x y z (Å)
C: -1.3056 -1.6612 0.7934
C: -0.6633 -0.8590 0.1625
C: 0.1779 0.0089 -0.6505
C: 0.7199 1.2102 -0.0474
O: 1.5257 0.0439 -0.2206
H: -1.8714 -2.3920 1.3343
H: -0.0563 0.0627 -1.7077
H: 0.3154 1.4686 0.9082
H: 1.0862 2.0431 -0.6680

Atomic partial charges in e from the natural (NBO) method, atoms 1 to 4: -0.20, -0.05, -0.03, -0.09

***

[2]
ORCA calculation (ωB97M-V/def2-TZVPD) on a molecular structure, C28H36F3N4P2SZn.

Charge ... +1
Molar mass ... 645.0 g/mol
LUMO level ... -0.1270 Ha
Orbital gap ... 7.403 eV
HOMO level ... -10.9 eV
Strongest force on any atom ... 0.47 eV/Å

Element x y z (Å)
Zn: 0.2819 -0.4200 -1.2522
C: -1.5972 3.0048 0.2971
P: -0.9320 1.3052 0.4584
C: -2.5138 0.4336 0.8288
N: -3.2960 0.9665 1.7403
C: -4.4936 0.4031 1.9953
C: -5.3157 0.9160 3.0240
C: -6.5231 0.3270 3.2647
C: -6.9729 -0.7614 2.4802
C: -6.2103 -1.2630 1.4661
C: -4.9395 -0.6973 1.2165
N: -4.1541 -1.1898 0.2391
C: -2.9550 -0.6855 0.0672
P: -2.0009 -1.4062 -1.3388
C: -3.1640 -1.0256 -2.6929
C: -1.9630 -3.2720 -1.1375
C: -1.4505 -3.8441 -2.4631
C: -0.9463 -3.5172 -0.0157
C: -3.2979 -3.9363 -0.8101
C: 0.0518 1.3107 2.0647
C: 0.5247 -0.1371 2.2465
C: 1.2553 2.2271 1.8151
C: -0.6869 1.7795 3.3146
H: -2.2907 3.2076 1.1107
H: -2.1156 3.0981 -0.6570
H: -0.7722 3.7157 0.3135
H: -4.9597 1.7595 3.5999
H: -7.1512 0.6940 4.0654
H: -7.9410 -1.1958 2.6911
H: -6.5410 -2.0920 0.8548
H: -4.1618 -1.3340 -2.3840
H: -2.8739 -1.5461 -3.6043
H: -3.1591 0.0480 -2.8807
H: -0.4888 -3.4207 -2.7463
H: -2.1661 -3.6768 -3.2696
H: -1.3186 -4.9225 -2.3563
H: 0.0410 -3.1302 -0.2857
H: -0.8350 -4.5866 0.1699
H: -1.2665 -3.0468 0.9183
H: -4.0312 -3.7663 -1.5996
H: -3.7173 -3.5979 0.1285
H: -3.1286 -5.0137 -0.7393
H: 1.1474 -0.4567 1.4050
H: -0.3256 -0.8202 2.3396
H: 1.1265 -0.2274 3.1527
H: 1.7433 1.9955 0.8673
H: 1.9878 2.0913 2.6136
H: 0.9555 3.2763 1.8102
H: -1.5286 1.1429 3.5620
H: -1.0458 2.8037 3.2067
H: 0.0117 1.7585 4.1554
N: 3.8458 -1.3859 -3.5428
C: 2.5156 -1.4205 -3.5298
N: 1.8593 -0.6123 -4.3773
S: 1.6900 -2.4487 -2.4811
H: 4.3596 -0.7527 -4.1334
H: 4.3498 -1.9150 -2.8543
H: 2.3463 -0.0693 -5.0720
H: 0.8823 -0.7807 -4.5234
F: 8.9365 2.4932 1.0087
C: 8.0470 3.3394 0.4708
F: 7.8133 4.3105 1.3764
F: 8.6382 3.9282 -0.5876
C: 6.7707 2.6568 0.0703
C: 5.7660 3.4273 -0.5033
C: 4.5701 2.8370 -0.8623
C: 4.3684 1.4688 -0.6474
C: 5.3879 0.7062 -0.0775
C: 6.5860 1.3006 0.2840
C: 3.0977 0.8884 -0.9577
C: 1.9781 0.4812 -1.1905
H: 5.9182 4.4883 -0.6539
H: 3.7748 3.4236 -1.3019
H: 5.2336 -0.3505 0.0957
H: 7.3688 0.7109 0.7405

Atomic partial charges in e from the Löwdin method, atoms 1 to 4: 0.44, -0.23, 1.00, -0.40

***

[3]
## Here the text continues
because obvious but it’s just gonna be free to stream 04:17 - um…we can explore how my self-loathing tells me that i can’t make something for sale either.. i can’t conquer that thing too so i’ve written these songs, i’ve recorded them, honestly as i’m listening back to them –this is so hard for me to say– i think they’re the best thing i’ve ever done just as music, and as songs and as an honest perspective of me as a self-loathing christian and i’m truly excited for you guys to hear it i don’t have artwork and i need to paint something for the cover! i thought i’d start by showing you some of the more recent art pieces i’ve done to honestly get myself inspired for where i want to take this my paintings have kind of been going towards this idea of peeling back layers so i think that’s going to show up in the art for the album cover the first time i explored this was through a painting i created a few years ago called “sea glass”… it’s right here it just kind of takes this idea of the ocean and you’re pushing back layers to see deeper and deeper and are also getting some distortion out of that too the ep that came out last year was called “for my house” and i made a little tiny painting for that i think this one’s moderately successful i don’t like that it looks so much like a house but just the idea of brightness and beauty within but you have to push back the layers to really see that and that takes us to my first ever self-made full-length album which i wrote and recorded in february called “we are the empress” and i absolutely love the art that i did for this again you’ve got those themes of peeling back layers combined with the royal purple that gets peeled away and adding to that the pain and the bloodiness of that removal so how can i explore this idea of peeling back layers in a new way with themes and colors that really express self-hatred honestly the thing that really strikes me is the idea of a mirror and in my first attempt i did kind of a like broken bloodied mirror…it looked terrible! my friend aaron also suggested the idea of like putting a target on my face honestly the main problem i have with both those ideas is they’re just so self-destructive and while i am exploring the idea of hating myself i don’t think the result of that as expressed in the actual content of the album is particularly violent and so i want to get rid of that violent aspect and really dig into the ennui of “no me” okay wow! i just had an amazing artistic painting session it didn’t turn out anything like i thought i just had the idea of what am i looking for what am i missing? and it’s serenity so in this context it means that i accept that i’ve got this self-loathing tendency and i’m gonna notice it and change it when i can first i just painted the idea like in an impressionistic style of serenity kind of a serene landscape just kind of using some of the methods i’ve developed for creating textures where i blot some colors and spread them with a wider brush along, uh, one specific sense of direction in this case horizontal! even though i don’t like doing landscapes and i don’t really like representational painting for myself and my work and hopefully it’ll get abstracted enough to not really read as a landscape so once that level dried i started taping down the next level to create a layer that i would peel away but when i was thinking about the theme of the album how do you reveal the fact that you’re hiding? expressing that i’m holding back because i don’t think i have anything worthwhile within me using the masking technique i decided to try using a paper towel to blot gray on top to kind of tamp down the tones that were there that didn’t work at all so then i just flipped them the other way and just blotted the gray directly onto the canvas that grayed out the canvas completely and so i used the putty knife to kind of scrape off a lot of the gray so that the colors underneath would show through at this point i was happy with how the gray sections looked so it was time to peel off that top layer of tape and see how the contrast between the full brightness and the grayed out section worked and when i saw what was beneath…
i hated it! 08:43 - and not in that good “i hate nathan stryker” sort of way and as i stared at it i realized that i could probably just continue blotting from the gray that i have and just gray out the whole thing so it’s less of a high contrast of this is gray and this is not and more of a blend from the full color to the desaturated section so i peeled off those top two borders, titled it and signed it and i’m so happy with the results i love that none of the ideas i expected to have going into this came through i didn’t imagine this as the cover for the e.p. but now that it’s done it’s absolutely perfect and i love it i can’t wait for you guys to be able to listen to it and to really present this e.p. for the whole world on black friday of course i’ll have a video on that day kind of announcing it and maybe even having a music video…or two so if you want to see that when it comes out i hope you’ll like this video and subscribe to the channel thanks so much for watching and i’ll see you next week it caused me to push away…i don’t know i don’t need to get too personal because i’m not getting too– i mean i don’t need to get too personal because there’s nothing personal about saying i hate myself i’m having a really hard time getting to this do you know what i mean? [sigh] .